**Entries:**
........
A relaxed GdThCo4 crystal, computed with PBE.

Cell: 5.083 5.083 5.083 Å, 60.00 60.00 60.00°
Atoms (fractional coordinates):
Gd1 0.000 0.000 0.000
Co1 0.625 0.625 0.124
Co2 0.625 0.124 0.625
Co3 0.625 0.625 0.625
Co4 0.124 0.625 0.625
Th1 0.250 0.250 0.250

Space-group type ... No. 216
E ... -51.00 eV per cell
ΔH_f (0 K) ... -0.180 eV/atom
ρ ... 11.18 Mg/m³
Spin magnetization ... 5.8 μB/f.u.


A relaxed B5C7 crystal, computed with PBE.

Cell: 2.546 4.776 6.492 Å, 95.90 90.00 90.00°
Atoms (fractional coordinates):
B1 0.500 0.805 0.349
B2 0.000 0.694 0.688
B3 0.000 0.301 0.562
B4 0.000 0.020 0.268
B5 0.000 0.002 0.976
C1 0.500 0.494 0.243
C2 0.500 0.499 0.001
C3 0.500 0.187 0.903
C4 0.000 0.352 0.312
C5 0.000 0.652 0.933
C6 0.500 0.152 0.672
C7 0.500 0.841 0.593

Space-group type ... No. 6
Offset from the most stable computed form ... 106.2 meV per atom
E ... -93.58 eV per cell
ΔH_f (0 K) ... 0.364 eV/atom
ρ ... 2.92 Mg/m³
Spin magnetization ... 0.0 μB/f.u.


A relaxed TmHg2Au crystal, computed with PBE.

Cell: 4.570 4.570 9.245 Å, 104.31 104.31 90.00°
Atoms (fractional coordinates):
Tm1 0.138 0.138 0.277
Tm2 0.862 0.862 0.723
Hg1 0.000 0.500 0.000
Hg2 0.500 0.000 0.000
Hg3 0.368 0.368 0.736
Hg4 0.632 0.632 0.264
Au1 0.250 0.750 0.500
Au2 0.750 0.250 0.500

Space-group type ... No. 139
E ... -20.16 eV per cell
ΔH_f (0 K) ... -0.431 eV/atom
ρ ... 14.08 Mg/m³
Spin magnetization ... 0.0 μB/f.u.

=====

Entry 1:
Nd3Er3Te2Pt: optimized geometry, PBE.

Lattice parameters (Å, degrees): 8.4665 8.4665 4.0580 90.00 90.00 120.00
Closest atoms and distances in Å follow each position.
Atoms (fractional coordinates):
1 Te 0.3333 0.6667 0.5000  6 Nd 3.28, 3 Er 3.30
2 Er 0.0000 0.2390 0.5000  2 Pt 2.87
3 Te 0.6667 0.3333 0.5000  6 Nd 3.28, 3 Er 3.30
4 Pt 0.0000 0.0000 0.0000  6 Er 2.87
5 Nd 0.0000 0.5954 0.0000  4 Te 3.28, 1 Pt 3.43, 6 Er 3.61-3.64
6 Nd 0.5954 0.0000 0.0000  4 Te 3.28, 1 Pt 3.43, 6 Er 3.61-3.64
7 Nd 0.4046 0.4046 0.0000  4 Te 3.28, 1 Pt 3.43, 6 Er 3.61-3.64
8 Er 0.7610 0.7610 0.5000  2 Pt 2.87
9 Er 0.2390 0.0000 0.5000  2 Pt 2.87

***

Entry 2:
Nd3Er3Te2Pt: optimized geometry, PBE.

Lattice parameters (Å, degrees): 8.6082 8.6082 3.9436 90.00 90.00 120.00
Closest atoms and distances in Å follow each position.
Atoms (fractional coordinates):
1 Nd 0.2517 0.0000 0.5000  2 Pt 2.93, 2 Te 3.28
2 Nd 0.7483 0.7483 0.5000  2 Pt 2.93, 2 Te 3.28
3 Pt 0.0000 0.0000 0.0000  6 Nd 2.93
4 Te 0.6667 0.3333 0.5000  3 Nd 3.28, 6 Er 3.28
5 Nd 0.0000 0.2517 0.5000  2 Pt 2.93, 2 Te 3.28
6 Er 0.4032 0.4032 0.0000  4 Te 3.28, 1 Pt 3.47, 6 Nd 3.57-3.62
7 Te 0.3333 0.6667 0.5000  3 Nd 3.28, 6 Er 3.28
8 Er 0.5968 0.0000 0.0000  4 Te 3.28, 1 Pt 3.47, 6 Nd 3.57-3.62
9 Er 0.0000 0.5968 0.0000  4 Te 3.28, 1 Pt 3.47, 6 Nd 3.57-3.62

***

Entry 3:
NdErPu: optimized geometry, PBE.

Results
The formation energy from the elements is 780 meV/atom.

Lattice parameters (Å, degrees): 5.3105 5.3105 5.3105 60.00 60.00 60.00
Closest atoms and distances in Å follow each position.
Atoms (fractional coordinates):
1 Pu 0.0000 0.0000 0.0000  4 Nd 3.25, 4 Er 3.25
2 Er 0.2500 0.2500 0.2500  4 Pu 3.25
3 Nd 0.7500 0.7500 0.7500  4 Pu 3.25

***

Calculated total energy / eV/atom: -5.442, -5.296, -7.038

=====

# Ca2ErAg4 | Alexandria | GGA-PBE | relaxed
# crystal system = tetragonal
data_Ca2ErAg4
_symmetry_space_group_name_H-M 'P 1'
_symmetry_Int_Tables_number 1
_symmetry_space_group_name_Hall 'P 1'
_cell_length_a 5.296
_cell_length_b 5.296
_cell_length_c 7.558
_cell_angle_alpha 110.51
_cell_angle_beta 110.51
_cell_angle_gamma 90.00
loop_
_atom_site_label
_atom_site_type_symbol
_atom_site_fract_x
_atom_site_fract_y
_atom_site_fract_z
Ca1 Ca 0.725 0.725 0.451
Ag1 Ag 0.612 0.112 0.224
Er1 Er 0.000 0.000 0.000
Ag2 Ag 0.112 0.612 0.224
Ca2 Ca 0.275 0.275 0.549
Ag3 Ag 0.388 0.888 0.776
Ag4 Ag 0.888 0.388 0.776

---

# CaEr4Ag5 | Alexandria | GGA-PBE | relaxed
# crystal system = tetragonal
data_CaEr4Ag5
_symmetry_space_group_name_H-M 'P 1'
_symmetry_Int_Tables_number 1
........

**To do:**
It remains to set down all of the block further above unchanged.

**Here it is:**
A relaxed GdThCo4 crystal, computed with PBE.

Cell: 5.083 5.083 5.083 Å, 60.00 60.00 60.00°
Atoms (fractional coordinates):
Gd1 0.000 0.000 0.000
Co1 0.625 0.625 0.124
Co2 0.625 0.124 0.625
Co3 0.625 0.625 0.625
Co4 0.124 0.625 0.625
Th1 0.250 0.250 0.250

Space-group type ... No. 216
E ... -51.00 eV per cell
ΔH_f (0 K) ... -0.180 eV/atom
ρ ... 11.18 Mg/m³
Spin magnetization ... 5.8 μB/f.u.


A relaxed B5C7 crystal, computed with PBE.

Cell: 2.546 4.776 6.492 Å, 95.90 90.00 90.00°
Atoms (fractional coordinates):
B1 0.500 0.805 0.349
B2 0.000 0.694 0.688
B3 0.000 0.301 0.562
B4 0.000 0.020 0.268
B5 0.000 0.002 0.976
C1 0.500 0.494 0.243
C2 0.500 0.499 0.001
C3 0.500 0.187 0.903
C4 0.000 0.352 0.312
C5 0.000 0.652 0.933
C6 0.500 0.152 0.672
C7 0.500 0.841 0.593

Space-group type ... No. 6
Offset from the most stable computed form ... 106.2 meV per atom
E ... -93.58 eV per cell
ΔH_f (0 K) ... 0.364 eV/atom
ρ ... 2.92 Mg/m³
Spin magnetization ... 0.0 μB/f.u.


A relaxed TmHg2Au crystal, computed with PBE.

Cell: 4.570 4.570 9.245 Å, 104.31 104.31 90.00°
Atoms (fractional coordinates):
Tm1 0.138 0.138 0.277
Tm2 0.862 0.862 0.723
Hg1 0.000 0.500 0.000
Hg2 0.500 0.000 0.000
Hg3 0.368 0.368 0.736
Hg4 0.632 0.632 0.264
Au1 0.250 0.750 0.500
Au2 0.750 0.250 0.500

Space-group type ... No. 139
E ... -20.16 eV per cell
ΔH_f (0 K) ... -0.431 eV/atom
ρ ... 14.08 Mg/m³
Spin magnetization ... 0.0 μB/f.u.

=====

Entry 1:
Nd3Er3Te2Pt: optimized geometry, PBE.

Lattice parameters (Å, degrees): 8.4665 8.4665 4.0580 90.00 90.00 120.00
Closest atoms and distances in Å follow each position.
Atoms (fractional coordinates):
1 Te 0.3333 0.6667 0.5000  6 Nd 3.28, 3 Er 3.30
2 Er 0.0000 0.2390 0.5000  2 Pt 2.87
3 Te 0.6667 0.3333 0.5000  6 Nd 3.28, 3 Er 3.30
4 Pt 0.0000 0.0000 0.0000  6 Er 2.87
5 Nd 0.0000 0.5954 0.0000  4 Te 3.28, 1 Pt 3.43, 6 Er 3.61-3.64
6 Nd 0.5954 0.0000 0.0000  4 Te 3.28, 1 Pt 3.43, 6 Er 3.61-3.64
7 Nd 0.4046 0.4046 0.0000  4 Te 3.28, 1 Pt 3.43, 6 Er 3.61-3.64
8 Er 0.7610 0.7610 0.5000  2 Pt 2.87
9 Er 0.2390 0.0000 0.5000  2 Pt 2.87

***

Entry 2:
Nd3Er3Te2Pt: optimized geometry, PBE.

Lattice parameters (Å, degrees): 8.6082 8.6082 3.9436 90.00 90.00 120.00
Closest atoms and distances in Å follow each position.
Atoms (fractional coordinates):
1 Nd 0.2517 0.0000 0.5000  2 Pt 2.93, 2 Te 3.28
2 Nd 0.7483 0.7483 0.5000  2 Pt 2.93, 2 Te 3.28
3 Pt 0.0000 0.0000 0.0000  6 Nd 2.93
4 Te 0.6667 0.3333 0.5000  3 Nd 3.28, 6 Er 3.28
5 Nd 0.0000 0.2517 0.5000  2 Pt 2.93, 2 Te 3.28
6 Er 0.4032 0.4032 0.0000  4 Te 3.28, 1 Pt 3.47, 6 Nd 3.57-3.62
7 Te 0.3333 0.6667 0.5000  3 Nd 3.28, 6 Er 3.28
8 Er 0.5968 0.0000 0.0000  4 Te 3.28, 1 Pt 3.47, 6 Nd 3.57-3.62
9 Er 0.0000 0.5968 0.0000  4 Te 3.28, 1 Pt 3.47, 6 Nd 3.57-3.62

***

Entry 3:
NdErPu: optimized geometry, PBE.

Results
The formation energy from the elements is 780 meV/atom.

Lattice parameters (Å, degrees): 5.3105 5.3105 5.3105 60.00 60.00 60.00
Closest atoms and distances in Å follow each position.
Atoms (fractional coordinates):
1 Pu 0.0000 0.0000 0.0000  4 Nd 3.25, 4 Er 3.25
2 Er 0.2500 0.2500 0.2500  4 Pu 3.25
3 Nd 0.7500 0.7500 0.7500  4 Pu 3.25

***

Calculated total energy / eV/atom: -5.442, -5.296, -7.038

=====

# Ca2ErAg4 | Alexandria | GGA-PBE | relaxed
# crystal system = tetragonal
data_Ca2ErAg4
_symmetry_space_group_name_H-M 'P 1'
_symmetry_Int_Tables_number 1
_symmetry_space_group_name_Hall 'P 1'
_cell_length_a 5.296
_cell_length_b 5.296
_cell_length_c 7.558
_cell_angle_alpha 110.51
_cell_angle_beta 110.51
_cell_angle_gamma 90.00
loop_
_atom_site_label
_atom_site_type_symbol
_atom_site_fract_x
_atom_site_fract_y
_atom_site_fract_z
Ca1 Ca 0.725 0.725 0.451
Ag1 Ag 0.612 0.112 0.224
Er1 Er 0.000 0.000 0.000
Ag2 Ag 0.112 0.612 0.224
Ca2 Ca 0.275 0.275 0.549
Ag3 Ag 0.388 0.888 0.776
Ag4 Ag 0.888 0.388 0.776

---

# CaEr4Ag5 | Alexandria | GGA-PBE | relaxed
# crystal system = tetragonal
data_CaEr4Ag5
_symmetry_space_group_name_H-M 'P 1'
_symmetry_Int_Tables_number 1